(Entries)
'''
This entry pairs a crystal structure of Ba3SrLu2Bi2O12 with its theoretical powder diffractogram. Radiation: copper Kα. Structure: a crystal structure in the Materials Project, relaxed with PBE.
Lines closer than 0.1° are merged.

Structure:
```
Ba3SrLu2Bi2O12
1.0
6.0666 0.0000 0.0000
0.0000 6.0666 0.0000
0.0000 0.0000 8.5762
Ba Sr Lu Bi O
3 1 2 2 12
Cartesian
0.0000 0.0000 0.0000
0.0000 0.0000 4.2881
3.0333 3.0333 0.0000
3.0333 3.0333 4.2881
0.0000 3.0333 2.1519
3.0333 0.0000 6.4243
0.0000 3.0333 6.4273
3.0333 0.0000 2.1489
0.0000 3.0333 4.3155
0.0000 3.0333 8.5483
1.5046 1.5439 6.4204
1.5046 4.5227 6.4204
1.5439 1.5046 2.1558
1.5439 4.5621 2.1558
3.0333 0.0000 0.0279
3.0333 0.0000 4.2606
4.5227 1.5046 2.1558
4.5227 4.5621 2.1558
4.5621 1.5439 6.4204
4.5621 4.5227 6.4204
```

Principal peaks in the range 2θ = 10–90°, in order of rising 2θ:
h k l  2theta  I_rel
1 0 1  17.9  1
1 1 0  20.7  10
2 0 0  29.5  100
2 2 0  42.1  28
3 1 0  47.4  5
3 1 2  52.2  42
4 0 0  61.1  18
3 3 0  65.3  2
4 2 0  69.3  18
4 0 4  77.0  6
5 1 0  80.8  1
5 1 2  84.5  22


Computed powder XRD pattern
Compound: YGeTe3Au
Radiation: λ = 1.5418 Å (Cu Kα)
Structure: a crystal structure in OQMD, relaxed with PBE
Peak positions follow from Bragg's law for the DFT cell and can differ from measured ones.

Main lines, in order of falling intensity (15 to 90 degrees two-theta):
d (Å), two_theta, Rel. int.
2.776, 32.3, 100
3.067, 29.1, 36
2.075, 43.6, 32
2.038, 44.4, 32
2.827, 31.7, 28
1.843, 49.5, 22

Structural model:
```
YGeTe3Au
1.0
2.074 -7.466 0.000
2.074 7.466 0.000
0.000 0.000 11.308
Y Ge Te Au
2 2 6 2
Direct
0.000 0.000 0.000
0.000 0.000 0.500
0.176 0.824 0.750
0.824 0.176 0.250
0.092 0.908 0.250
0.351 0.649 0.053
0.351 0.649 0.447
0.649 0.351 0.553
0.649 0.351 0.947
0.908 0.092 0.750
0.466 0.534 0.250
0.534 0.466 0.750
```

Computed powder XRD pattern
Compound: TmGeAu
Radiation: λ = 1.5418 Å (Cu Kα)
Structure: a crystal structure in OQMD, relaxed with PBE
Peak positions follow from Bragg's law for the DFT cell and can differ from measured ones.

Main lines, in order of falling intensity (15 to 90 degrees two-theta):
d (Å), two_theta, Rel. int.
2.696, 33.2, 100
2.471, 36.4, 61
2.332, 38.6, 46
1.545, 59.8, 26
1.339, 70.3, 24
2.064, 43.9, 24

Structural model:
```
TmGeAu
1.0
7.123 0.000 0.000
-3.561 6.169 0.000
0.000 0.000 4.128
Tm Ge Au
3 3 3
Direct
0.000 0.587 0.000
0.413 0.413 0.000
0.587 0.000 0.000
0.000 0.000 0.000
0.333 0.667 0.500
0.667 0.333 0.500
0.000 0.263 0.500
0.263 0.000 0.500
0.737 0.737 0.500
```


DySi3IrRu: simulated powder diffractogram (CuKα), based on a PBE-relaxed structure.
Intensities are scaled so that the largest is 100.

The 10 most intense peaks (2θ from 5° to 70°), by angle:
2θ 20.73, intensity 67
2θ 28.72, intensity 58
2θ 29.29, intensity 100
2θ 32.39, intensity 41
2θ 35.69, intensity 35
2θ 36.14, intensity 29
2θ 43.83, intensity 56
2θ 49.31, intensity 32
2θ 52.16, intensity 26
2θ 55.86, intensity 28

Atomic structure:
a b c (Å): 7.457 7.457 5.528
angles (deg): 90.00 90.00 130.73
Fractional coordinates of all 12 atoms:
1 Dy 0.183 0.817 0.750
2 Dy 0.817 0.183 0.250
3 Si 0.228 0.772 0.250
4 Si 0.287 0.287 0.000
5 Si 0.287 0.287 0.500
6 Si 0.713 0.713 0.000
7 Si 0.713 0.713 0.500
8 Si 0.772 0.228 0.750
9 Ir 0.393 0.607 0.250
10 Ir 0.607 0.393 0.750
11 Ru 0.063 0.937 0.250
12 Ru 0.937 0.063 0.750


No. 1
Diffraction record for Er6Tl3Rh. The X-ray diffraction stick pattern is calculated, not measured: it uses a DFT-relaxed cell (GGA-PBE, Alexandria) and a wavelength of 1.5418 Å.

Atomic structure:
```
Er6Tl3Rh
1.0
8.948 0.000 0.000
0.000 11.605 0.000
0.000 0.000 5.171
Er Tl Rh
12 6 2
Direct
0.011 0.236 0.000
0.157 0.083 0.500
0.187 0.415 0.500
0.313 0.915 0.000
0.343 0.583 0.000
0.489 0.736 0.500
0.511 0.264 0.500
0.657 0.417 0.000
0.687 0.085 0.000
0.813 0.585 0.500
0.843 0.917 0.500
0.989 0.764 0.000
0.000 0.500 0.000
0.156 0.738 0.500
0.344 0.238 0.000
0.500 0.000 0.500
0.656 0.762 0.000
0.844 0.262 0.500
0.000 0.000 0.000
'''
(Assignment)
Please give back the whole of the material above word for word.
(Written answer)
This entry pairs a crystal structure of Ba3SrLu2Bi2O12 with its theoretical powder diffractogram. Radiation: copper Kα. Structure: a crystal structure in the Materials Project, relaxed with PBE.
Lines closer than 0.1° are merged.

Structure:
```
Ba3SrLu2Bi2O12
1.0
6.0666 0.0000 0.0000
0.0000 6.0666 0.0000
0.0000 0.0000 8.5762
Ba Sr Lu Bi O
3 1 2 2 12
Cartesian
0.0000 0.0000 0.0000
0.0000 0.0000 4.2881
3.0333 3.0333 0.0000
3.0333 3.0333 4.2881
0.0000 3.0333 2.1519
3.0333 0.0000 6.4243
0.0000 3.0333 6.4273
3.0333 0.0000 2.1489
0.0000 3.0333 4.3155
0.0000 3.0333 8.5483
1.5046 1.5439 6.4204
1.5046 4.5227 6.4204
1.5439 1.5046 2.1558
1.5439 4.5621 2.1558
3.0333 0.0000 0.0279
3.0333 0.0000 4.2606
4.5227 1.5046 2.1558
4.5227 4.5621 2.1558
4.5621 1.5439 6.4204
4.5621 4.5227 6.4204
```

Principal peaks in the range 2θ = 10–90°, in order of rising 2θ:
h k l  2theta  I_rel
1 0 1  17.9  1
1 1 0  20.7  10
2 0 0  29.5  100
2 2 0  42.1  28
3 1 0  47.4  5
3 1 2  52.2  42
4 0 0  61.1  18
3 3 0  65.3  2
4 2 0  69.3  18
4 0 4  77.0  6
5 1 0  80.8  1
5 1 2  84.5  22


Computed powder XRD pattern
Compound: YGeTe3Au
Radiation: λ = 1.5418 Å (Cu Kα)
Structure: a crystal structure in OQMD, relaxed with PBE
Peak positions follow from Bragg's law for the DFT cell and can differ from measured ones.

Main lines, in order of falling intensity (15 to 90 degrees two-theta):
d (Å), two_theta, Rel. int.
2.776, 32.3, 100
3.067, 29.1, 36
2.075, 43.6, 32
2.038, 44.4, 32
2.827, 31.7, 28
1.843, 49.5, 22

Structural model:
```
YGeTe3Au
1.0
2.074 -7.466 0.000
2.074 7.466 0.000
0.000 0.000 11.308
Y Ge Te Au
2 2 6 2
Direct
0.000 0.000 0.000
0.000 0.000 0.500
0.176 0.824 0.750
0.824 0.176 0.250
0.092 0.908 0.250
0.351 0.649 0.053
0.351 0.649 0.447
0.649 0.351 0.553
0.649 0.351 0.947
0.908 0.092 0.750
0.466 0.534 0.250
0.534 0.466 0.750
```

Computed powder XRD pattern
Compound: TmGeAu
Radiation: λ = 1.5418 Å (Cu Kα)
Structure: a crystal structure in OQMD, relaxed with PBE
Peak positions follow from Bragg's law for the DFT cell and can differ from measured ones.

Main lines, in order of falling intensity (15 to 90 degrees two-theta):
d (Å), two_theta, Rel. int.
2.696, 33.2, 100
2.471, 36.4, 61
2.332, 38.6, 46
1.545, 59.8, 26
1.339, 70.3, 24
2.064, 43.9, 24

Structural model:
```
TmGeAu
1.0
7.123 0.000 0.000
-3.561 6.169 0.000
0.000 0.000 4.128
Tm Ge Au
3 3 3
Direct
0.000 0.587 0.000
0.413 0.413 0.000
0.587 0.000 0.000
0.000 0.000 0.000
0.333 0.667 0.500
0.667 0.333 0.500
0.000 0.263 0.500
0.263 0.000 0.500
0.737 0.737 0.500
```


DySi3IrRu: simulated powder diffractogram (CuKα), based on a PBE-relaxed structure.
Intensities are scaled so that the largest is 100.

The 10 most intense peaks (2θ from 5° to 70°), by angle:
2θ 20.73, intensity 67
2θ 28.72, intensity 58
2θ 29.29, intensity 100
2θ 32.39, intensity 41
2θ 35.69, intensity 35
2θ 36.14, intensity 29
2θ 43.83, intensity 56
2θ 49.31, intensity 32
2θ 52.16, intensity 26
2θ 55.86, intensity 28

Atomic structure:
a b c (Å): 7.457 7.457 5.528
angles (deg): 90.00 90.00 130.73
Fractional coordinates of all 12 atoms:
1 Dy 0.183 0.817 0.750
2 Dy 0.817 0.183 0.250
3 Si 0.228 0.772 0.250
4 Si 0.287 0.287 0.000
5 Si 0.287 0.287 0.500
6 Si 0.713 0.713 0.000
7 Si 0.713 0.713 0.500
8 Si 0.772 0.228 0.750
9 Ir 0.393 0.607 0.250
10 Ir 0.607 0.393 0.750
11 Ru 0.063 0.937 0.250
12 Ru 0.937 0.063 0.750


No. 1
Diffraction record for Er6Tl3Rh. The X-ray diffraction stick pattern is calculated, not measured: it uses a DFT-relaxed cell (GGA-PBE, Alexandria) and a wavelength of 1.5418 Å.

Atomic structure:
```
Er6Tl3Rh
1.0
8.948 0.000 0.000
0.000 11.605 0.000
0.000 0.000 5.171
Er Tl Rh
12 6 2
Direct
0.011 0.236 0.000
0.157 0.083 0.500
0.187 0.415 0.500
0.313 0.915 0.000
0.343 0.583 0.000
0.489 0.736 0.500
0.511 0.264 0.500
0.657 0.417 0.000
0.687 0.085 0.000
0.813 0.585 0.500
0.843 0.917 0.500
0.989 0.764 0.000
0.000 0.500 0.000
0.156 0.738 0.500
0.344 0.238 0.000
0.500 0.000 0.500
0.656 0.762 0.000
0.844 0.262 0.500
0.000 0.000 0.000